By Matthew D. Weber
For the second straight year, fire departments from all over the United States sent members to Emmitsburg, Maryland, to review the Fire Act grant applications. Over a three-week period, 300 fire service professionals nominated by nine fire service organizations to act as peer reviewers went through 9,200 grant applications.
The nominating organizations included the International Association of Fire Chiefs, International Association of Fire Fighters, National Volunteer Fire Council, National Fire Protection Association, Congressional Fire Service Institute, International Association of Arson Investigators, National Association of State Fire Marshals, North American Fire Training Directors, and International Society of Fire Service Instructors. If you are interested in being a grant reviewer next year and you are affiliated with one of these organizations, request that they send in your name for consideration. Multilingual or bilingual reviewers are especially needed.
I was a review panel member during the second week of the reviews. The first morning, we attended a mandatory meeting with the Grant Management Team (GMT), which outlined the ground rules. The GMT included individuals from the Grants Program Office and the Office of Financial Management of the Federal Emergency Management Agency (FEMA). The team also had a technical expert in the grants process. Also assisting with the management of the fire grants were Chief (Ret.) Glenn Gaines of Fairfax County, VA; Chief (Ret.) Vicki Murphy of Seminole, FL; Chief (Ret.) John Lee Cook of Loudoun County, VA; and Chief (Ret.) Al Conners from Grand Rapids, MI. They made sure we followed the process consistently, and they answered fire service-related technical questions.
The rules were simple: read every grant application and rate them against the rules set forth in the Federal Register. We were not to consider anything outside the rules defined by Congress and documented in the Register. The key task is for the grant applicants to show financial need. The applicants also have to provide a cost/benefit analysis showing the value of the request to the community they serve.
Potential grant recipients must be part of or willing to provide fire reports to FEMA through the National Fire Incident Reporting System (NFIRS), which was one of the screening criteria prior to our receiving the grant applications. A few slipped through and were accidentally forwarded to us. The grant applicants also must declare their ability to provide the matching funds required by the grant. The on-line application provided a very accurate means for eliminating mathematical errors in the process. Through this process, it calculated the 10-percent matching funds for fire departments serving communities of fewer than 50,000 in population and the 30 percent for fire departments serving more than 50,000 in population. The departments had to agree that their budget would not be modified if they received a grant award. This ensured that fire department budgets would not be reduced by the amount of the award.
One of the most significant considerations the grant review process highlighted was that many departments did not use a programmatic approach to their grant requests. The peer review panels looked for such an approach in grant requests. To build a program approach, a fire department needs to take a holistic view of the deficiency it is trying to eliminate. Its narrative should explain how the grant request will eliminate the fire service delivery deficiency using the least amount of grant dollars.
• Crystal structures, as found in the file:
'''
# 1
Here is a relaxed structure of KPtW2 from the Alexandria database. Energies are from PBE.

```
data_KPtW2
_symmetry_space_group_name_H-M 'P 1'
_symmetry_Int_Tables_number 1
_cell_length_a 4.169
_cell_length_b 2.726
_cell_length_c 8.143
_cell_angle_alpha 83.78
_cell_angle_beta 90.00
_cell_angle_gamma 90.00
loop_
_symmetry_equiv_pos_as_xyz
'x,y,z'
loop_
_atom_site_label
_atom_site_fract_x
_atom_site_fract_y
_atom_site_fract_z
_atom_site_occupancy
K1 0.500 0.250 0.250 1
Pt1 0.500 0.750 0.750 1
W1 0.000 0.208 0.903 1
W2 0.000 0.292 0.597 1
```

- ΔE to the lowest computed polymorph (eV per formula unit) = 1.44
- ΔH_f (0 K) (eV/atom) = 0.874
- total magnetic moment (μB/atom) = 0.000
- symmetry = P2/m (10)

=====

# 2
Here is a relaxed structure of CaIr2F from the Alexandria database. Energies are from PBE.

```
data_CaIr2F
_symmetry_space_group_name_H-M 'P 1'
_symmetry_Int_Tables_number 1
_cell_length_a 4.547
_cell_length_b 4.547
_cell_length_c 4.547
_cell_angle_alpha 60.00
_cell_angle_beta 60.00
_cell_angle_gamma 60.00
loop_
_symmetry_equiv_pos_as_xyz
'x,y,z'
loop_
_atom_site_label
_atom_site_fract_x
_atom_site_fract_y
_atom_site_fract_z
_atom_site_occupancy
Ca1 0.500 0.500 0.500 1
Ir1 0.250 0.250 0.250 1
Ir2 0.750 0.750 0.750 1
F1 0.000 0.000 0.000 1
```

- ΔE to the lowest computed polymorph (eV per formula unit) = 6.34
- total magnetic moment (μB/atom) = 0.211
- symmetry = Fm-3m (225)

=====

# 3
Here is a relaxed structure of CaNd2Ga from the Alexandria database. Energies are from PBE.

```
data_CaNd2Ga
_symmetry_space_group_name_H-M 'P 1'
_symmetry_Int_Tables_number 1
_cell_length_a 5.486
_cell_length_b 5.486
_cell_length_c 5.486
_cell_angle_alpha 60.00
_cell_angle_beta 60.00
_cell_angle_gamma 60.00
loop_
_symmetry_equiv_pos_as_xyz
'x,y,z'
loop_
_atom_site_label
_atom_site_fract_x
_atom_site_fract_y
_atom_site_fract_z
_atom_site_occupancy
Ca1 0.000 0.000 0.000 1
Nd1 0.250 0.250 0.250 1
Nd2 0.750 0.750 0.750 1
Ga1 0.500 0.500 0.500 1
```

- ΔE to the lowest computed polymorph (eV per formula unit) = 0.36
- ΔH_f (0 K) (eV/atom) = -0.135
- total magnetic moment (μB/atom) = 0.000
- symmetry = Fm-3m (225)

=====

# 4
Here is a relaxed structure of AlHgN2 from the Alexandria database. Energies are from PBE.

```
data_AlHgN2
_symmetry_space_group_name_H-M 'P 1'
_symmetry_Int_Tables_number 1
_cell_length_a 6.414
_cell_length_b 6.414
_cell_length_c 6.414
_cell_angle_alpha 27.79
_cell_angle_beta 27.79
_cell_angle_gamma 27.79
loop_
_symmetry_equiv_pos_as_xyz
'x,y,z'
loop_
_atom_site_label
_atom_site_fract_x
_atom_site_fract_y
_atom_site_fract_z
_atom_site_occupancy
N1 0.888 0.888 0.888 1
N2 0.112 0.112 0.112 1
Hg1 0.000 0.000 0.000 1
Al1 0.500 0.500 0.500 1
```

- ΔE to the lowest computed polymorph (eV per formula unit) = 0.06
- total magnetic moment (μB/atom) = 0.000
- symmetry = R-3m (166)

=====

# 5
Here is a relaxed structure of K2Y2NpS6 from the Alexandria database. Energies are from PBE.

```
data_K2Y2NpS6
_symmetry_space_group_name_H-M 'P 1'
'''
• Back to the article:
The fire departments could request assistance in one of the following areas:
- Fire Operations and Firefighter Safety Program. Eligible activities under this function are training, wellness and fitness, firefighting equipment, and personal protective equipment.
- Fire Prevention Program. Eligible activities under this function include public education and awareness activities, fire code enforcement activities, fire inspector certifications, purchase and installation of smoke alarms and fire suppression systems, and arson prevention and detection activities.
- Emergency Medical Services Program. Eligible activities under this function for fire-based EMS units are equipment and training. Vehicles such as ambulances are not eligible.
- Firefighting Vehicles Acquisition Program. Eligible apparatus under this program include pumpers, brush trucks, tankers, rescues, ambulances, quints, aerials, foam units, and boats.
We had to become very knowledgeable about all four areas as quickly as possible. If we were reviewing a grant application and could not determine if the items were eligible, we could ask the GMT for clarification. Someone might request an item that was unknown outside a particular region in the country, or occasionally, a grant applicant would use local jargon to describe the item. If the GMT and the three-person team reviewing the grant did not understand the item described, the entire room would be asked if anyone had heard of the item. There was always someone who had heard of it.
Note: Use common language in your grant request when describing your items. Don’t leave it to chance that the panelist will understand your request. Print your grant application and get feedback from other professionals inside and outside of the fire service.
It was important for grant applicants to develop a comprehensive program that would address all of their needs. For example, for a self-contained breathing apparatus (SCBA) purchase, the department had to explain in a narrative its need for the air packs and its ability to fill them with approved grade “D” air. If not, it needed to include an air compressor that provided the same grade of air quality. The department should also include in the narrative a plan for maintaining the air packs and storing of the compressed breathing air (i.e., if storage bottles are needed) and whether it is willing to share the capabilities of its SCBA program with neighboring departments.
Each reviewer was given a number, which was used to divide the group into 33 three-person review panels. Each day, a master assignment board showed the table assignments for each reviewer. Our assignments were changed daily to ensure that panelists did not develop a group-think mentality. Three rooms of personnel reviewed the volunteer grants; one room reviewed the paid department grants the week I was there. We were told not to discuss any of the applications outside of our three-member review panel, and we could not discuss any part of the overall grading process with anyone. We signed a confidentiality statement ensuring that we would not discuss the particulars of the rating system. Hence, that rating process is not described in this article.
Every grant application was logged into the room and then tracked completely throughout the process. When the GMT assigned the grants to a table, they were also tracked to the panelist reviewing the grant applications. Once the team leader reviewed the panelist’s scores and the completed conflict of interest statement, the grant application files were returned to the GMT for review. If something was missing in the process, the GMT would return the grant application file to the team leader for corrections. Mathematical mistakes were the most common reason a file was returned to the panelist. To ensure the integrity of the process, the panelist, not the GMT, made all mathematical corrections. This ensured that the scores were not changed after the grant file left the panelist.
Each day, one member of the three-person review panel was selected as the team leader. In the typical process, each table received six grant requests at a time. The team leader would first announce the names and location of all six grant applications. The panelists would declare any conflict of interest with any of the grants. If there was a conflict of interest, that grant was given to another group of panelists. The team leader managed the paperwork at that table for the entire day. Over the course of the week, every person had the opportunity to act as the team leader. The team leader checked and rechecked the paperwork prior to returning the grant application to the GMT. If the scores of one panelist were not consistent with the overall panel scoring, the team leader would require the members to review their scores and discuss the differences in case there were any misunderstandings. At no time was there any pressure to change scores.
We were then dismissed to begin the task of reviewing the grant applications. It became very clear that there is tremendous need in today’s fire service. Those fire departments that completely read and followed the Federal Register rules really stood out from those that had not. Several departments asked for items in two of the functional or program areas. This mistake took a very heavy toll on their competitive rating.
If you want your department to succeed in the competitive grant process, remember that the narrative is a critical part of the grant request. It is your opportunity to describe your needs and why you have been financially unable to purchase the items you are requesting. Many departments only develop a shopping list. Take a serious look at your basic fire department operations. Look at your most critical needs. Depart-ments that showed their basic fire service delivery needs received more consideration than those that went way past basic needs. The panelists were not allowed to consider only part of a grant request; it had to be considered in total, as written by the fire department. In many applications, fire departments asked for basic needs and then went beyond. Other fire departments asked for more items than the rules allowed or for items FEMA did not consider priorities for Fiscal Year 2002.
Provide enough information pertaining to your request. If you asked for a $300,000 pumper and failed to briefly describe what equipment the grant request would include, the panelist was left guessing whether the pumper would include any hose. Make sure you have realistic cost estimates. Explain in your narrative how you arrived at the projected costs to ensure that you would spend the federal grant money efficiently and that you would be able to purchase the equipment you said you would if you received the grant. Some grant requests had unrealistic price estimates. Make sure you use costs that are realistic, appropriate, and economical for the items you are requesting.
Serving as a peer reviewer was an excellent experience. It is a fair and objective process that provides funding to departments that can articulate a program to address specific needs identified in the Federal Register. It won’t meet all the departments’ needs but truly begins to establish a program of federal funding to bring departments up to a baseline capability in several critical areas.
**The article is interrupted by records of crystals**
+++
A relaxed In2Fe2Pd crystal. Source: Alexandria, functional PBE.

Unit cell a=6.8270 b=6.8270 c=3.6283 alpha=90.00 beta=90.00 gamma=90.00
With the nearest neighbours (Å) after each atom.
Space group P4/mbm (No. 127)
Inequivalent atoms, fractional coordinates:
In 0.1823 0.3177 0.0000  6 Fe 2.67-2.76
Fe 0.1152 0.6152 0.5000  1 Fe 2.22
Pd 0.0000 0.0000 0.5000  4 Fe 2.74

=====

A relaxed InFePd5 crystal. Source: Alexandria, functional PBE.

Unit cell a=11.8572 b=7.4379 c=5.2144 alpha=90.00 beta=100.23 gamma=90.00
With the nearest neighbours (Å) after each atom.
Space group C2/c (No. 15)
Inequivalent atoms, fractional coordinates:
In 0.0000 0.2420 0.2500  9 Pd 2.69-2.78
Fe 0.2500 0.2500 0.0000  6 Pd 2.62-2.71
Pd 0.0000 0.1198 0.7500  3 In 2.69-2.76, 6 Pd 2.76-2.93
Pd 0.1099 0.4453 0.6679  1 Fe 2.62, 6 Pd 2.72-2.88, 2 In 2.74-2.78
Pd 0.1935 0.0884 0.5287  2 Fe 2.62-2.71, 6 Pd 2.72-2.92, 1 In 2.74

=====

A relaxed InFe2Pd7 crystal. Source: Alexandria, functional PBE.

Unit cell a=7.2539 b=12.3474 c=4.3203 alpha=90.00 beta=90.00 gamma=90.00
With the nearest neighbours (Å) after each atom.
Space group Cmmm (No. 65)
Inequivalent atoms, fractional coordinates:
In 0.0000 0.0000 0.0000  10 Pd 2.67-2.93
Fe 0.0000 0.3019 0.5000  7 Pd 2.40-2.66
Pd 0.0000 0.2164 0.0000  2 Fe 2.40, 1 In 2.67
Pd 0.0000 0.5000 0.5000  2 Fe 2.45, 4 Pd 2.69
Pd 0.1879 0.1170 0.5000  2 Fe 2.48-2.66, 2 Pd 2.69-2.73

=====

A relaxed InFePd3 crystal. Source: Alexandria, functional PBE.

Unit cell a=4.6454 b=4.6454 c=4.6454 alpha=90.00 beta=90.00 gamma=90.00
With the nearest neighbours (Å) after each atom.
Space group Pm-3m (No. 221)
Inequivalent atoms, fractional coordinates:
In 0.0000 0.0000 0.0000  12 Pd 3.28
Fe 0.5000 0.5000 0.5000  6 Pd 2.32
Pd 0.0000 0.5000 0.5000  2 Fe 2.32

Results
Polymorph energy (0 for the lowest one) in meV per atom: 0

=====

no.,VASP energy (eV/atom),Fermi-level density of states (states/eV/f.u.)
1,-5.36,3.87
2,-5.49,3.70
3,-5.31,6.27
4,-4.89,4.62

* * * * *

--- one ---
Tb3ZnC: relaxed, PBE.

Its density of states at the Fermi level is 3.44 states/eV/f.u.

The space group is C2/m (No. 12) and the conventional cell measures 11.4052, 5.1263 and 8.1818 Å, with angles of 90.00, 109.62 and 90.00 degrees. Symmetry generates all atoms from Tb at (0.0971, 0.0000, 0.2080), Tb at (0.1375, 0.5000, 0.9203), Tb at (0.1608, 0.0000, 0.6465), Zn at (0.0915, 0.5000, 0.4398) and C at (0.1317, 0.0000, 0.9262).

--- two ---
Tb3ZnC: relaxed, PBE.

Its density of states at the Fermi level is 6.61 states/eV/f.u.

The space group is Pm-3m (No. 221) and the conventional cell measures 4.9068, 4.9068 and 4.9068 Å, with angles of 90.00, 90.00 and 90.00 degrees. Symmetry generates all atoms from Tb at (0.0000, 0.0000, 0.5000), Zn at (0.5000, 0.5000, 0.5000) and C at (0.0000, 0.0000, 0.0000).

Stability verdict: one, ahead by 0.036 eV/atom

--- one ---
TbZrC: relaxed, PBE.

Its density of states at the Fermi level is 2.89 states/eV/f.u.
+++
If you are considering applying for a grant next year, read and follow the Federal Reg-ister, Program Guidance, and Frequently Asked Questions (FAQs) posted at the USFA Web site, and show legitimate financial need. Applicants that did so fared well in the grant application process.
Get a grant committee together right now. Define your fire service delivery deficiencies and your financial need. Develop a plan to alleviate your deficiencies that includes a programmatic approach. Describe how you will share these resources with your surrounding departments. Plan to limit your requests to items included in the Program Guidance when published. We do not know what the grant categories will be next year, but it is a good bet that they will build on this year’s categories. Be realistic in your request. Get price estimates that ensure the grant money is being spent in the most efficient way.
MATTHEW D. WEBER, a 27-year veteran of the fire service, is chief of the Danville (IL) Fire Department. He has been a staff instructor for the University of Illinois Fire Service Institute for 21 years. Weber has a bachelor’s degree in fire management and a master’s in public administration.